Sunday, May 8, 2016

-:: $oci@l Anx!e+y ::-

I'm now posting videos on YouTube under the same name: CreativeKarma. I will do my best to post the videos here as well.

Thursday, October 9, 2014

My Asperger Bad Day

Well, I'm finally back.

Looking back, it's been a long time since I've posted anything on this site. But one doesn't realize how much time it takes to do all those "adult" things till you actually have to do them yourself. Granted, my mom is doing some of the work as well but when a household goes from four to three, then from three to two, that becomes a big adjustment.

Now, mind you, my young brother is still around and willing to help but he works a full schedule and doesn't live right around the corner anymore. My mom on the other hand is here (as I live with her) but there is only so much she can handle during the day because of numerous surgeries she has had to undergo.

All this adds up and leads me to my new bad day. I won't go ranting off on all the details at the moment. But things are simply piling up.

Most know that for a while things have been going very well between my mother and I. We had nearly stopping arguing over everything. Things were slowly moving along. Life seemed to be regaining it's alignment.

But now things have flipped again. To summarize: I'm having anxious episodes that could possibly be  part of a new anxiety disorder (I've done the research and I've got all the lovely symptoms), I have a suspicion about possible depression issues now since I have nothing medically wrong with me via my medical doctor unless the aching I'm feeling is working in line with my anxiety theory, I'm feeling like the housewife having to do all this work all day long and not having anyone to talk to or share things with (my friends are limited to typing to them over skype even with the friend I've actually hung out with off the computer), having a house in semi-disorder, a mom who's own seemingly manic episodes have her jumping around to change everything in the spur of the moment leaving me feeling like I got bowled over by a tidal wave....

See where I'm going with this?

I haven't even mentioned what has happened to me today that has left me with nothing but the strong desire that yank all the cable boxes out of the house and chuck them through our service providers front window, the anxiety and rage filled battle with them that led my dog to relieve himself all over my blankets down to the mattress, a room now looking wrecked that I just cleaned, and now a mess of spilled food to clean up for the cherry on top. In summary, my day feels like a snow globe someone has just picked up and shaken for their entertainment to watch the snow fly.

My mom managed to help straighten some of the issues that happened today. However, more seem to keep coming.

I may be a person that doesn't always have an ability to know when I've said something inappropriate to someone. But calling someone's cell phone asking for their dead father, "finding out" their father is dead, and then going on to talk about this "great offer on for their car/house/etc" seems to be the most inappropriate thing unless they have called that business themselves to do just that.

If they knew and went on with it anyway, that's more wrong than I can ever express. If they didn't know but they pressed anyway...that's not as wrong but it's still hugely inappropriate.

Considering the day I had all ready been through, I'm sure I wasn't very polite to the woman but I was having none of it at all. She did call MY personal cell phone. Not exactly sure how someone can pretend like they are calling someone's home phone or that person's cell phone in this case.

So, yeah, Today is not a good day. Nor was yesterday with the fight I had with mom that seemed to unleash the torrent of my feelings that I've had over the past months. It wasn't pretty.

Now, I'm signed up for therapy and tomorrow I'm going to see about getting some medication to help me in the meantime till I can get things in order in my life as much as possible. I'm not sure how relaxation techniques are going to help me in everyday life but I will give the woman a shot considering she did say she knew how to deal with AS patients.

And there goes my rambling unending sentences again.

And with a little break there for a moment to get something from mom, I can continue.

I am hopeful that things will turn around soon. I'm on a diet and exercising whenever I get the chance. Well, 30 mins a day max and only some days to I manage to have the time or feel like doing it. Maybe that's the anxiety or depression talking. Either way I hope to have it resolved soon so I can stay on track and lose some weight so I feel better about doing more things in my day.

While it's a long shot, maybe I could even take up waking up earlier. For those that know me well enough, that is laughable. But maybe it is possible.

Someone pasted data records at this point =
This record from Alexandria via LeMat-Bulk describes an optimized crystal structure of DyFeI. The functional is PBE.

Lattice parameters (Å, degrees): 12.531 12.531 12.531 18.20 18.20 18.20
Sites, in units of the cell vectors:
Dy1 0.052 0.052 0.052
Dy2 0.948 0.948 0.948
Fe1 0.334 0.334 0.334
Fe2 0.666 0.666 0.666
I1 0.223 0.223 0.223
I2 0.777 0.777 0.777

ΔE_f (raw)	-0.7023	eV/atom

~~~~~

Density functional theory data (PBE-GGA) for crystalline Sr2CaHoSe4 at its relaxed geometry.

The structure in CIF format:
```
data_Sr2CaHoSe4
_space_group_name_H-M_alt 'P 1 2/m 1'
_space_group_IT_number 10
_cell_length_a 7.390
_cell_length_b 4.255
_cell_length_c 7.444
_cell_angle_alpha 90.00
_cell_angle_beta 109.22
_cell_angle_gamma 90.00
loop_
_space_group_symop_operation_xyz
'x,y,z'
'-x,-y,-z'
'-x,y,-z'
'x,-y,z'
loop_
_atom_site_label
_atom_site_type_symbol
_atom_site_fract_x
_atom_site_fract_y
_atom_site_fract_z
_atom_site_occupancy
Sr1 Sr 0.000 0.000 0.000 1
Sr2 Sr 0.500 0.500 0.000 1
Ca1 Ca 0.000 0.500 0.500 1
Ho1 Ho 0.500 0.000 0.500 1
Se1 Se 0.250 0.000 0.732 1
Se2 Se 0.262 0.500 0.270 1
```

## Properties
Raw total energy ... -4.935 eV per atom

---

Density functional theory data (PBE-GGA) for crystalline Zr2ZnIr at its relaxed geometry.

The structure in CIF format:
```
data_Zr2ZnIr
_space_group_name_H-M_alt 'P 1 21/m 1'
_space_group_IT_number 11
_cell_length_a 5.647
_cell_length_b 4.386
_cell_length_c 6.742
_cell_angle_alpha 90.00
_cell_angle_beta 114.24
_cell_angle_gamma 90.00
loop_
_space_group_symop_operation_xyz
'x,y,z'
'-x,-y,-z'
'-x,y+1/2,-z'
'x,-y+1/2,z'
loop_
_atom_site_label
_atom_site_type_symbol
_atom_site_fract_x
_atom_site_fract_y
_atom_site_fract_z
_atom_site_occupancy
Zr1 Zr 0.170 0.250 0.407 1
Zr2 Zr 0.277 0.750 0.082 1
Zn1 Zn 0.386 0.750 0.702 1
Ir1 Ir 0.146 0.250 0.797 1
```

## Properties
Raw total energy ... -7.416 eV per atom

---

Density functional theory data (PBE-GGA) for crystalline Si23He4 at its relaxed geometry.

The structure in CIF format:
```
data_Si23He4
_space_group_name_H-M_alt 'P m -3 n'
_space_group_IT_number 223
_space_group_name_Hall '-P 4n 2 3'
_cell_length_a 10.245
_cell_length_b 10.245
_cell_length_c 10.245
_cell_angle_alpha 90.00
_cell_angle_beta 90.00
_cell_angle_gamma 90.00
loop_
_atom_site_label
_atom_site_type_symbol
_atom_site_fract_x
_atom_site_fract_y
_atom_site_fract_z
_atom_site_occupancy
Si1 Si 0.000 0.117 0.308 1
Si2 Si 0.000 0.250 0.500 1
Si3 Si 0.184 0.184 0.184 1
He1 He 0.000 0.000 0.000 1
He2 He 0.000 0.500 0.250 1
```

## Properties
Raw total energy ... -4.555 eV per atom

---

Density functional theory data (PBE-GGA) for crystalline Tm4ScPb at its relaxed geometry.

The structure in CIF format:
```
data_Tm4ScPb
_space_group_name_H-M_alt 'C 1 2/m 1'
_space_group_IT_number 12
_cell_length_a 16.565
_cell_length_b 8.146
_cell_length_c 5.485
_cell_angle_alpha 90.00
_cell_angle_beta 109.25
_cell_angle_gamma 90.00
loop_
_space_group_symop_operation_xyz
'x,y,z'
'-x,-y,-z'
'-x,y,-z'
'x,-y,z'

So, now I'm working on spending my afternoon relaxing the way I want to. With tv going in the background and feeding my geekery side. So many to count. Games, TV. Movies.

There's not much advice going into this. Today, I'm making more about me. Some me time as it were.

Also, there's nothing really to update on. Still haven't heard back about my disability case that we've are trying to get taken seriously. My hopes are high that I can work with the therapist and together we can give more ammo to my lawyer that they can't ignore.

So, that's all that's going on with me today. I hope your day is going better than mine. But it it's bad too, know that I'm right there with you. Thing can be bad and then suddenly get better. Hang in there. I'm going to.

But now it's time for me to head off and get something to eat to help my mind with what it needs. Mindless television.

Have a good day all.

Thursday, June 26, 2014

My Thoughts on the Grieving "Process"

Hey there everyone.

I know it's been quite a while since I last posted here. Well, things have been very crazy and up and down around my life over the past few weeks and that leads me to why I'm deciding to talk about grief and it's "process".

Back in February, my father passed away due to a heart attack that none of us saw coming. We can only assume that he must have been feeling ill but he never truly spoke of it to us. Nor did he go to the hospital for any of the issues he was obviously having that he liked to deny.

And I suppose here is a good a place as any to jump right into the thick of things.

You might be wondering why I put quote marks around the word process. Well, to be completely honest, when it comes to grieving I believe that everyone grieves in their own way and in their own order. I'm sure most people know of the typical fashion that science claims that we all grieve. However, I think they don't take into account other factors and that's where I believe having Asperger's Syndrome comes into play along with my own personal mindset.

There are books galore that talk about grieving and ways to go about it and even quite a few about those with autism and even Asperger Syndrome people grieving as well.

Now, if you want to read those books that talk about how things are different for those like us, I'm not saying you shouldn't. That's your personal decision to make. But again, I believe here that while it might be a good guide that a book shouldn't be the deciding factor in how you decide to grieve. Things might hit you in a different way than the book describes and it might make you feel bad that you don't follow that "process" and therefore force yourself to feel or act that way although you aren't ready to.

Also, people look at death and how they want to deal with their lives after someone dear to them as passed. Even here each culture has different views on death and how they choose to go about it. In New Orleans, a band plays a somber tune while leading everyone to the cemetery but when they leave they lead everyone back out playing an upbeat tune in a way of celebrating that person's life. Other cultures instead of grieving first, look at the positive side. They remember the very best parts of that person's life and actively strive to live everyday in honor of that person to be the best they can be.

As for me, I personally feel as though I am following that second path. While I can admit there are times emotion overwhelms me and I start to cry, that eventually passes and I move on. The rest of my time is spent actively working to live like I knew he would want me to live. As my dad used to say: "I don't want to see my baby girl upset." He knows I miss him. He knows that I love him. And I don't think he thinks any less of me because I'm not crying at all hours and constantly worrying. I do believe he prefers seeing me working to achieve everything he knew I could be and do. He wouldn't want me to feel bad that I'm not feeling bad enough.

The best way I can summarize this was from an episode of Roseanne. Roseanne's father had passed and her daughter told her that she hadn't cried yet and that she felt bad because she hadn't. Roseanne's response was: you can only feel what you feel. This is very true. If you feel sad then you can be sad but once that passes you can slowly pick the pieces back up and carry on again. But if you don't feel bad, it's not wrong. It just means you have been given the opportunity to start to move on with life and that you should take advantage of it.

Sure I'm not the highest authority on grieving and my ramblings here can be considered a book as well. So don't just take my word for it. I highly recommend talking to the people around you. Friends, family, co-workers, teachers, etc. Write it out, talk it out. Do whatever comes most naturally to you.

Essentially that's all I'm saying here. Grief is a personal process and you are the person who decides how you will go about it. While you can take someone else's advice, you aren't obligated to take it right then but keep it as an option should your way not work the way you might hope.

As for me, I'm gonna just keep my head up. Keep working on my life and do what I feel is the right thing for me. I'm going to make big changes but only on my terms.

That's the advice I will end on. As best stated by Dolly Parton: "Find out who you are and do it on purpose."

Monday, December 23, 2013

Sometimes it just sucks

Ya know

I keep talking about all these great things about being an Aspie. All the things you can do. All the misunderstandings that can come with others lack of knowledge and such. Those great people that did these great things.

But, I haven't really gone the other way yet. Being as it's close to Christmas I know it doesn't seem like the proper time but it really is.

Christmas is by far one of the most stressful holidays we as people ever have to go through. Every one has heard of the scores of people that actually get trampled on Black Friday. The insane parking issues. All for what? So much emphasis is being placed on what your getting and/or how much you are giving.

*takes a breath*

Sometimes being and Aspie just sucks. It's almost physically painful sometimes. You may be doing everything right and the way you are supposed to and you can still hit rock bottom. It doesn't mean that you aren't working hard enough. It could mean you are working too hard. However, even if you are doing just enough you are going to have bad days.

There is absolutely no way around this at all. Yeah, that knowledge sucks. You can still go from having the best day to having the worst in a manner of moments.

Just know that when things get bad for you. You've done too much. You can't get away. You snap at your friends or family and they can't understand why. In those moments, they are a part of you and there's nothing that can change that. Just move on with your day. Make what apologies you have to and keep moving. Looking back will only make you fall.

It'll suck but only as long as you let it.